Where is the jump ball in Super Metroid?
Go to the main Elevator in Norfair and head through the first door you see on the right. Keep going right untill you read a large green room. On your right you will notice two doors you want to go through the lower one. Once you make it through you will be in a shaft with red balls that bounce and some enemies.
How do you jump into the morph ball in Super Metroid?
**These calculated molecules were left in the entry by mistake:**
'''
Entry 1:
DFT (ωB97M-V/def2-TZVPD) results for a structure of composition C17H22OS.

Element x y z (Å)
C 4.362 2.236 0.893
C 3.882 0.846 0.548
C 3.838 0.105 1.789
H 4.737 -0.137 2.197
H 3.292 -1.149 1.460
H 3.000 0.412 2.615
H 4.217 0.215 -0.055
S 2.009 1.065 -0.272
C 2.142 0.184 -1.832
C 2.261 -1.408 -1.645
H 2.466 -1.540 -2.598
C 0.769 -1.887 -1.369
C 0.648 -2.227 0.132
H 1.306 -2.704 0.736
O -0.690 -2.507 0.415
C -1.790 -1.651 0.536
C -1.586 -0.445 0.165
C -2.817 0.463 0.101
C -2.595 2.000 -0.344
C -3.861 2.702 -0.253
C -5.140 2.074 -0.256
C -5.322 0.843 0.284
C -4.062 0.051 0.286
C -4.188 -1.390 0.709
C -2.997 -2.024 0.381
H -2.951 -3.225 0.847
H -5.084 -2.075 0.697
H -6.136 0.460 0.258
H -6.057 2.660 -0.130
H -3.727 3.670 -0.529
H -1.713 2.444 -0.485
H -0.703 0.178 -0.176
H 0.849 -1.035 0.735
H 0.799 -3.129 -1.680
H 0.035 -1.479 -1.730
H 3.024 -1.473 -0.879
H 3.132 0.538 -2.382
H 1.337 0.507 -2.060
H 4.304 2.868 -0.090
H 5.215 2.277 1.275
H 3.793 2.686 1.708

Output
- Electronic energy: -1133.86489 Ha
- HOMO-LUMO gap: 0.3180 hartree
- HOMO: -8.09 eV
- LUMO level: 0.56 eV
- Total charge: 0

---

Entry 2:
DFT (ωB97M-V/def2-TZVPD) results for a structure of composition C12H7N5OS3Tl.

Element x y z (Å)
Tl 1.355 0.028 -0.205
N 2.575 -3.260 2.895
C 1.864 -2.466 2.014
S 2.699 -2.051 0.540
N 0.671 -2.141 2.381
N -0.012 -1.393 1.424
C -1.273 -1.348 1.652
C -2.275 -0.627 0.898
C -3.578 -0.620 1.419
C -4.603 0.068 0.813
C -4.314 0.787 -0.356
C -3.049 0.794 -0.893
C -1.986 0.068 -0.297
O -0.823 0.057 -0.870
H 3.576 -3.218 2.811
H 2.198 -3.283 3.829
H -1.628 -1.910 2.518
H -3.766 -1.183 2.329
H -5.601 0.061 1.230
H -5.102 1.350 -0.847
H -2.819 1.345 -1.798
S 0.899 1.440 -2.496
C 2.375 2.180 -2.767
C 2.368 3.570 -3.185
N 2.352 4.663 -3.546
C 3.597 1.589 -2.462
S 3.739 0.077 -1.771
C 4.799 2.398 -2.584
N 5.760 3.025 -2.675

Output
- Electronic energy: -2177.60045 Ha
- HOMO-LUMO gap: 0.2010 hartree
- HOMO: -4.72 eV
- LUMO level: 0.75 eV
- Total charge: -1

---

Entry 3:
DFT (ωB97M-V/def2-TZVPD) results for a cluster of 8 separate species, C40H56F21N2O19S in total.

Element x y z (Å)
O -1.409 -2.610 2.153
C -2.579 -2.919 2.131
O -3.264 -2.881 0.953
C -4.688 -2.999 1.022
C -5.334 -1.703 0.525
C -6.846 -1.764 0.799
C -7.276 -1.109 2.152
C -8.022 0.156 1.906
N -7.458 1.335 1.892
C -8.389 2.326 1.674
C -9.532 1.694 1.545
N -9.317 0.333 1.688
C -10.437 -0.625 1.638
C -10.180 -1.926 0.892
C -11.448 -2.811 1.092
C -12.458 -2.664 -0.066
S -14.113 -2.640 0.603
O -14.349 -1.331 1.116
O -15.066 -3.132 -0.325
O -14.026 -3.665 1.819
H -3.084 -3.243 3.054
H -5.021 -3.814 0.383
H -5.038 -3.240 2.030
H -4.845 -0.822 0.923
H -5.219 -1.704 -0.557
H -7.440 -1.338 -0.006
H -7.125 -2.818 0.838
H -6.361 -0.828 2.663
H -7.862 -1.777 2.773
H -6.479 1.523 2.053
H -8.243 3.385 1.622
H -10.535 2.044 1.388
H -11.229 -0.109 1.098
H -10.819 -0.775 2.645
H -9.365 -2.498 1.312
H -10.049 -1.751 -0.174
H -11.158 -3.851 1.171
H -11.882 -2.502 2.039
H -12.418 -3.543 -0.703
'''
Pressing down on the directional pad twice in midair will cause Samus to morph in midair. To retain Samus’s horizontal velocity, you will need to hold the jump button while pressing down, and hold forward after morphing.
What does the Spring Ball do in Super Metroid?
The Spring Ball (or Jump Ball) is an ability of Samus’s that allows her Morph Ball to jump without using a Morph Ball Bomb. It must be acquired as its own upgrade in Metroid II: Return of Samus and Super Metroid.
How do you get a mothball in Super Metroid?
Press and hold the jump button. Release the direction. Tap down on the directional pad (Samus should now be facing directly downwards) Tap down again, just before you hit the ground (Samus should perform a “soft morph” on the ground)
How do you space jump Super Metroid?
Space Jump allows Samus to continue her spinjump indefinitely by releasing the jump button and then pressing the jump button again shortly after. After the peak of a spinjump is reached, Samus will begin descending, and once she has reached a certain vertical speed, she will be able to perform a space jump.
Is Mock ball a glitch?
The “Mockball” (pronounced MOK-BALL) or “Machball” is an exploitable glitch in Super Metroid. It enables the player to move in Morph Ball form at running speed, allowing them to morph over Pit Blocks. It is still unknown whether or not this trick is actually a glitch.
How do you double jump in Super Metroid?
When Samus is touching the wall, the player must press and hold the control pad away from the wall. Samus should momentarily look like she is clinging to the wall. At that moment, the player must press the jump button again.
== Misplaced records of molecules ==
No. 1
Entry from the OMol25 dataset: 6 unconnected molecules or ions with the total composition C30H54BF3O7 in a non-equilibrium geometry (the ωB97M-V functional and the def2-TZVPD basis).

Summary:
* orbital gap: 7.16 eV
* lowest unoccupied orbital energy: -0.06 eV
* F_max: 2.63 eV Å⁻¹
* HOMO: -7.22 eV

Positions of all 95 atoms, in Å:
C -3.79014 -0.07061 -1.78557
C -3.65756 -0.78243 -2.98130
C -2.44741 -1.62213 -3.41231
B -1.05171 -1.04479 -2.88383
C -0.04287 -0.53483 -4.02854
C -0.75023 0.66975 -4.71176
O 0.20803 1.55123 -5.32589
C -0.48676 2.68540 -5.71980
O -1.01661 2.75740 -6.75166
C -0.62935 -0.99076 -1.35793
C 0.34071 0.17773 -0.97296
C -0.22157 1.12033 0.08813
F -0.36206 2.44645 -0.21652
C -0.55424 0.77842 1.31442
F -0.37802 1.64995 2.29725
F -1.02521 -0.39890 1.62456
H -4.07094 -0.61926 -0.86629
H -3.68544 1.01864 -1.67775
H -4.51997 -0.78085 -3.67691
H -2.52742 -2.70672 -3.14275
H -2.45220 -1.61581 -4.51926
H 0.13456 -1.35914 -4.73980
H 0.94069 -0.24924 -3.62032
H -1.53042 0.33559 -5.41777
H -1.30142 1.20646 -3.90207
H -0.50423 3.51550 -4.98092
H -1.52909 -0.89717 -0.72497
H -0.14442 -1.96426 -1.13921
H 1.26846 -0.22311 -0.52749
H 0.64933 0.82163 -1.81156
C 0.49708 -0.85852 6.66445
C -0.30153 -0.54766 5.40804
C 0.60180 -1.10318 4.31989
O 1.30954 -2.20812 4.89580
C 1.11912 -2.20092 6.31477
H -0.10556 -0.89288 7.57175
H 1.27972 -0.10768 6.80247
H -1.24868 -1.09492 5.42464
H -0.52304 0.51125 5.27732
H 1.34005 -0.35984 3.99767
H 0.04673 -1.44155 3.44689
H 0.44708 -3.02799 6.57039
H 2.07597 -2.36502 6.81261
C 0.71593 7.24570 -0.44255
C 0.14432 5.96966 0.15406
C -1.35102 6.20818 0.03314
O -1.54267 7.03052 -1.12402
C -0.27612 7.53777 -1.55726
H 1.74049 7.14480 -0.80068
H 0.69192 8.04703 0.30102
H 0.43687 5.11132 -0.45701
H 0.46417 5.78279 1.17915
H -1.73857 6.75159 0.90178
H -1.91716 5.28221 -0.07762
H -0.00060 7.01501 -2.47996
H -0.36418 8.60314 -1.77522
C 3.13819 3.70238 1.56078
C 4.43724 3.30945 2.24392
C 4.44207 1.80073 2.04995
O 3.74934 1.54270 0.82070
C 3.08643 2.74068 0.39535
H 3.10375 4.74421 1.24167
H 2.29527 3.51966 2.23345
H 5.28436 3.75706 1.71719
H 4.49334 3.60634 3.29085
H 3.90055 1.29388 2.85608
H 5.44984 1.38641 1.99532
H 3.62723 3.13642 -0.47171
H 2.06609 2.50718 0.09199
C 2.24318 -4.90347 -4.86394
C 1.71965 -5.82239 -3.77207
C 1.30093 -4.82871 -2.70180
O 0.89690 -3.63315 -3.38293
C 1.29536 -3.72087 -4.75857
H 2.24809 -5.35623 -5.85486
H 3.26281 -4.58833 -4.62726
H 0.84690 -6.37140 -4.13556
H 2.45263 -6.54582 -3.41657
H 2.13930 -4.57589 -2.04427
H 0.47624 -5.19440 -2.08789
H 0.39446 -3.87965 -5.36202
H 1.75835 -2.78270 -5.06573
C -2.98395 -5.00262 3.40980
C -2.50503 -3.69448 4.01929
C -2.39906 -2.80108 2.79488
O -3.39369 -3.25177 1.86826
C -3.91024 -4.51257 2.30824
H -3.48043 -5.66340 4.12003
H -2.13784 -5.54185 2.97554
H -3.26346 -3.30376 4.70380
H -1.56516 -3.78049 4.56555
H -1.41988 -2.90042 2.31454
H -2.56680 -1.74881 3.02706
H -4.92516 -4.34897 2.68683
H -3.96194 -5.20102 1.46333

Atoms 1-3, force components in eV/Å:
How do you use the space jump in Super Metroid?
Super Metroid manual “With the Space Jump Boots, Samus can jump continuously in the air and fly through open areas. To operate this item, press the jump button just after Samus peaks in a somersault jump.”
Where do I go after Space Jump in Super Metroid?
After getting the space jump you need to go back to the Ghavoran area. Slide down the pipe and you will drop down in the water. There climb on the right-side platform and space jump towards the left-side platform in the water. In the water you cannot space jump your way up, you can only space jump sideways.
How do you get the spring ball in Super Metroid?
Super Metroid In Super Metroid, the Spring Ball is an optional upgrade acquired in Maridia. The Grapple Beam must be used to uncover a passage that leads to a Morph Ball maze in which the Spring Ball is obtained from a Chozo Statue.
### These quantum chemistry results were left in the article by mistake
+++
1.
Below is an isolated molecule of C3H5NO, with properties calculated with ωB97M-V/def2-TZVPD.

```
10
Properties=species:S:1:pos:R:3:mulliken_charge:R:1
C -0.68 -0.98 0.00 -0.610
C -0.47 1.26 0.12 -0.369
N 0.86 1.14 0.04 -0.439
C 1.37 -0.01 -0.17 0.129
O 0.60 -1.09 -0.46 -0.316
H -0.73 -1.19 1.08 0.276
H -1.38 -1.57 -0.57 0.286
H -0.92 2.05 -0.49 0.295
H -1.08 0.60 0.71 0.372
H 2.43 -0.20 -0.26 0.376
```

Output
- relative energy (zero: lowest compared OMol25 entry of this formula, charge and spin) (eV) = 3.909
- Kohn-Sham gap (Ha) = 0.3265
- highest occupied orbital energy (eV) = -8.082
- net charge = 0

2.
Below is an isolated molecule of C4H5ClF2, with properties calculated with ωB97M-V/def2-TZVPD.

```
12
Properties=species:S:1:pos:R:3:mulliken_charge:R:1
C -1.81 0.07 0.65 -0.716
C -1.09 0.31 -0.42 -0.383
C 1.21 -0.80 -0.14 -0.440
C 0.62 0.52 -0.24 0.610
F 1.22 1.36 -1.16 -0.279
F 0.81 1.18 0.99 -0.277
Cl 2.96 -0.75 -0.01 -0.168
H -2.75 0.35 0.42 0.361
H -1.36 0.00 1.64 0.260
H -1.43 0.36 -1.42 0.404
H 0.86 -1.43 -1.05 0.323
H 0.76 -1.19 0.73 0.306
```

Output
- relative energy (zero: lowest compared OMol25 entry of this formula, charge and spin) (eV) = 1.159
- structure (SMILES) = C=CC(F)(F)CCl
- Kohn-Sham gap (Ha) = 0.4245
- highest occupied orbital energy (eV) = -10.701
- net charge = 0

For the records above, the corresponding LUMO level values read 0.8; 0.9 eV.

* * * * *

Molecular formula: C5H10N2O8
Method: DFT, wB97M-V/def2-TZVPD

Geometry as XYZ:
```
25
Properties=species:S:1:pos:R:3:forces:R:3:lowdin_charge:R:1
C -2.730467 -3.608635 0.497271 -0.3 0.0 -0.1 -0.11
C -2.767545 -2.136404 0.128298 0.3 0.4 -0.1 -0.26
C -1.357619 -1.554685 0.115140 0.4 -0.2 0.2 -0.17
C -1.314595 -0.091361 -0.301854 0.4 -2.0 -0.8 -0.29
C 0.099098 0.549050 -0.459939 -1.7 0.8 1.8 -0.32
O 0.967716 0.106969 -1.334571 1.2 -3.2 0.3 0.03
O 1.597740 -1.605207 -0.295065 -0.2 2.5 0.3 -0.04
O 2.322581 -1.095220 0.608862 1.0 -1.5 -2.7 -0.02
N 4.083785 -1.219544 -0.288377 -0.4 0.1 0.5 -0.21
O 4.159059 -2.143882 -1.061905 -0.4 2.9 2.2 0.17
O 4.711618 -0.296190 0.136507 -0.5 -2.1 -1.3 0.16
O -2.111928 0.523730 0.715552 0.3 2.4 -1.2 0.05
N -2.398551 1.884660 0.301046 -0.2 0.2 -0.1 -0.33
O -1.966668 2.219783 -0.804135 -1.5 0.0 2.1 0.07
O -3.041853 2.511244 1.103921 0.9 -0.8 -1.1 0.14
H -3.745302 -4.000971 0.455342 0.0 -0.3 0.1 0.07
H -2.103441 -4.175420 -0.197980 -0.1 0.0 0.1 0.08
H -2.347588 -3.746999 1.513447 0.0 0.0 -0.1 0.08
H -3.151606 -1.983246 -0.888256 -0.3 -0.2 0.2 0.12
H -3.411657 -1.583824 0.825532 0.1 -0.1 -0.2 0.11
H -0.876379 -1.696549 1.097977 -0.1 0.1 -0.3 0.13
H -0.772110 -2.118004 -0.618405 0.1 0.1 0.1 0.12
H -1.787921 -0.015115 -1.291569 -0.2 0.1 0.4 0.16
H -0.223474 1.490553 -0.911119 0.6 0.7 0.0 0.13
H 0.459287 0.782686 0.562739 0.4 0.0 -0.2 0.14
```
Positions in Å, forces in eV/Å.

Results
- gap between HOMO and LUMO (alpha / beta) (Ha) = 0.265 / 0.265
- electronic energy (Ha) = -907.39984
+++
How do you get Samus to jump higher in Super Metroid?
Go through the narrow tunnel above to find a green door. Shoot the door with a Super missle to find the Spazer Upgrade. These boots simply increase the height which Samus can jump.
How do you get the Hi Jump boots in Super Metroid?
Go through and blast the upper part of the wall away in the next room to reach the Hi-Jump Boots. The Varia Suit greatly enhances Samus’ Power Suit by providing her with extra protection that cuts 25% of the damage inflicted by enemies.
Where can I find the space jump in maridia?
Located deep within Maridia, the only thing stopping you from reaching it is Draygon (see the bosses section). Once you finish off the creepy underwater specimen, head through the door on the left side of his chamber to find the Space Jump.